+++
Density functional theory data (GGA-PBE) for a geometry-optimized PrTlTe4 structure.

abc: 6.9492 6.9492 8.8256
angles: 90.00 90.00 90.00
With the nearest neighbours (Å) after each atom.
Space group P4/nbm (No. 125, origin choice 2)
One atom of each set of equivalent atoms:
Pr 0.2500 0.2500 0.0000 (multiplicity 2)  8 Te 3.30
Tl 0.2500 0.2500 0.5000 (multiplicity 2)  8 Te 3.63
Te 0.1061 0.6061 0.2207 (multiplicity 8)  1 Te 2.83

- Calculated volume: 35.52 Å³/atom
- Raw formation energy: -421 kJ/mol of formula units
- Theoretical density: 6.67 g cm⁻³

* * * * *

1.
A relaxed structure of Ba3AlAs3, computed with GGA-PBEsol.

Properties
- Theoretical density: 4.91 g/cm³
- Energy: -4.73 eV per atom
- Calculated formation energy: -7.2 eV per formula unit

a = 19.7952 Å, b = 6.8423 Å, c = 13.2637 Å
α = 90.00°, β = 90.00°, γ = 90.00°
Space group Cmce (No. 64)
Symmetry-distinct sites (fractional):
Ba: 0.0000 0.1693 0.1530 (multiplicity 8)
Ba: 0.1756 0.1877 0.8700 (multiplicity 16)
Al: 0.0828 0.0000 0.5000 (multiplicity 8)
As: 0.0000 0.2051 0.4035 (multiplicity 8)
As: 0.1568 0.1916 0.6186 (multiplicity 16)

=====

2.
A relaxed structure of Ba2AlFeAs, computed with GGA-PBEsol.

Properties
- Theoretical density: 4.80 g/cm³
- Energy: -4.42 eV per atom
- Calculated formation energy: 0.4 eV per formula unit

a = 5.8246 Å, b = 5.8246 Å, c = 4.4086 Å
α = 90.00°, β = 90.00°, γ = 90.00°
Space group P4/mmm (No. 123)
Symmetry-distinct sites (fractional):
Ba: 0.0000 0.5000 0.0000 (multiplicity 2)
Al: 0.0000 0.0000 0.5000 (multiplicity 1)
Fe: 0.5000 0.5000 0.0000 (multiplicity 1)
As: 0.5000 0.5000 0.5000 (multiplicity 1)

=====

3.
A relaxed structure of RbBaAlAs2, computed with GGA-PBEsol.

Properties
- Theoretical density: 4.53 g/cm³
- Energy: -3.53 eV per atom
- Calculated formation energy: -0.2 eV per formula unit

a = 5.1858 Å, b = 5.1858 Å, c = 5.4531 Å
α = 90.00°, β = 90.00°, γ = 90.00°
Space group P4/mmm (No. 123)
Symmetry-distinct sites (fractional):
Rb: 0.0000 0.0000 0.0000 (multiplicity 1)
Ba: 0.5000 0.5000 0.0000 (multiplicity 1)
Al: 0.0000 0.0000 0.5000 (multiplicity 1)
As: 0.0000 0.5000 0.5000 (multiplicity 2)

=====

4.
A relaxed structure of BaAlAs2Ru, computed with GGA-PBEsol.

Properties
- Theoretical density: 4.29 g/cm³
- Energy: -3.41 eV per atom
- Calculated formation energy: 9.6 eV per formula unit

a = 5.6258 Å, b = 5.6258 Å, c = 5.0832 Å
α = 90.00°, β = 90.00°, γ = 90.00°
Space group P4/mmm (No. 123)
Symmetry-distinct sites (fractional):
Ba: 0.0000 0.0000 0.0000 (multiplicity 1)
Al: 0.5000 0.5000 0.5000 (multiplicity 1)
As: 0.0000 0.5000 0.0000 (multiplicity 2)
Ru: 0.0000 0.0000 0.5000 (multiplicity 1)

* * * * *

TaAsOs2: optimized geometry, PBEsol.

Electronic total energy, eV/atom: -10.329
Energy of formation, eV/atom: 0.19
Symmetry: P4/mmm
DOS(E_F), states/eV/atom: 0.5565

a b c (Å): 4.1945 4.1945 3.4409
angles (deg): 90.00 90.00 90.00
Last column: nearest neighbours and their distance in Å.
Fractional positions:
Ta 0.0000 0.0000 0.0000  8 Os 2.71, 4 As 2.97
As 0.5000 0.5000 0.0000  8 Os 2.71, 4 Ta 2.97
Os 0.0000 0.5000 0.5000  4 Ta 2.71, 4 As 2.71, 4 Os 2.97
Os 0.5000 0.0000 0.5000  4 Ta 2.71, 4 As 2.71, 4 Os 2.97

BaTaIn2: optimized geometry, PBEsol.

Energy above the lowest structure with this stoichiometry, eV/atom: 0.1336
Electronic total energy, eV/atom: -4.740
Energy of formation, eV/atom: 0.43
Symmetry: Cmmm
DOS(E_F), states/eV/atom: 0.8276

a b c (Å): 5.7103 5.7103 3.1111
angles (deg): 90.00 90.00 103.93
Last column: nearest neighbours and their distance in Å.
Fractional positions:
Ba 0.0000 0.0000 0.0000  2 Ba 3.11, 8 In 3.25
Ta 0.5000 0.5000 0.0000  2 Ta 3.11, 8 In 3.25
In 0.0000 0.5000 0.5000  2 In 3.11, 4 Ta 3.25, 4 Ba 3.25
In 0.5000 0.0000 0.5000  2 In 3.11, 4 Ba 3.25, 4 Ta 3.25

LiTi2Pt2: optimized geometry, PBEsol.

Electronic total energy, eV/atom: -7.215
Energy of formation, eV/atom: -0.71
Symmetry: P4/mbm
DOS(E_F), states/eV/atom: 0.7662

a b c (Å): 7.5843 7.5843 2.8167
angles (deg): 90.00 90.00 90.00
+++

It remains to duplicate the whole of the block earlier on character by character.

Density functional theory data (GGA-PBE) for a geometry-optimized PrTlTe4 structure.

abc: 6.9492 6.9492 8.8256
angles: 90.00 90.00 90.00
With the nearest neighbours (Å) after each atom.
Space group P4/nbm (No. 125, origin choice 2)
One atom of each set of equivalent atoms:
Pr 0.2500 0.2500 0.0000 (multiplicity 2)  8 Te 3.30
Tl 0.2500 0.2500 0.5000 (multiplicity 2)  8 Te 3.63
Te 0.1061 0.6061 0.2207 (multiplicity 8)  1 Te 2.83

- Calculated volume: 35.52 Å³/atom
- Raw formation energy: -421 kJ/mol of formula units
- Theoretical density: 6.67 g cm⁻³

* * * * *

1.
A relaxed structure of Ba3AlAs3, computed with GGA-PBEsol.

Properties
- Theoretical density: 4.91 g/cm³
- Energy: -4.73 eV per atom
- Calculated formation energy: -7.2 eV per formula unit

a = 19.7952 Å, b = 6.8423 Å, c = 13.2637 Å
α = 90.00°, β = 90.00°, γ = 90.00°
Space group Cmce (No. 64)
Symmetry-distinct sites (fractional):
Ba: 0.0000 0.1693 0.1530 (multiplicity 8)
Ba: 0.1756 0.1877 0.8700 (multiplicity 16)
Al: 0.0828 0.0000 0.5000 (multiplicity 8)
As: 0.0000 0.2051 0.4035 (multiplicity 8)
As: 0.1568 0.1916 0.6186 (multiplicity 16)

=====

2.
A relaxed structure of Ba2AlFeAs, computed with GGA-PBEsol.

Properties
- Theoretical density: 4.80 g/cm³
- Energy: -4.42 eV per atom
- Calculated formation energy: 0.4 eV per formula unit

a = 5.8246 Å, b = 5.8246 Å, c = 4.4086 Å
α = 90.00°, β = 90.00°, γ = 90.00°
Space group P4/mmm (No. 123)
Symmetry-distinct sites (fractional):
Ba: 0.0000 0.5000 0.0000 (multiplicity 2)
Al: 0.0000 0.0000 0.5000 (multiplicity 1)
Fe: 0.5000 0.5000 0.0000 (multiplicity 1)
As: 0.5000 0.5000 0.5000 (multiplicity 1)

=====

3.
A relaxed structure of RbBaAlAs2, computed with GGA-PBEsol.

Properties
- Theoretical density: 4.53 g/cm³
- Energy: -3.53 eV per atom
- Calculated formation energy: -0.2 eV per formula unit

a = 5.1858 Å, b = 5.1858 Å, c = 5.4531 Å
α = 90.00°, β = 90.00°, γ = 90.00°
Space group P4/mmm (No. 123)
Symmetry-distinct sites (fractional):
Rb: 0.0000 0.0000 0.0000 (multiplicity 1)
Ba: 0.5000 0.5000 0.0000 (multiplicity 1)
Al: 0.0000 0.0000 0.5000 (multiplicity 1)
As: 0.0000 0.5000 0.5000 (multiplicity 2)

=====

4.
A relaxed structure of BaAlAs2Ru, computed with GGA-PBEsol.

Properties
- Theoretical density: 4.29 g/cm³
- Energy: -3.41 eV per atom
- Calculated formation energy: 9.6 eV per formula unit

a = 5.6258 Å, b = 5.6258 Å, c = 5.0832 Å
α = 90.00°, β = 90.00°, γ = 90.00°
Space group P4/mmm (No. 123)
Symmetry-distinct sites (fractional):
Ba: 0.0000 0.0000 0.0000 (multiplicity 1)
Al: 0.5000 0.5000 0.5000 (multiplicity 1)
As: 0.0000 0.5000 0.0000 (multiplicity 2)
Ru: 0.0000 0.0000 0.5000 (multiplicity 1)

* * * * *

TaAsOs2: optimized geometry, PBEsol.

Electronic total energy, eV/atom: -10.329
Energy of formation, eV/atom: 0.19
Symmetry: P4/mmm
DOS(E_F), states/eV/atom: 0.5565

a b c (Å): 4.1945 4.1945 3.4409
angles (deg): 90.00 90.00 90.00
Last column: nearest neighbours and their distance in Å.
Fractional positions:
Ta 0.0000 0.0000 0.0000  8 Os 2.71, 4 As 2.97
As 0.5000 0.5000 0.0000  8 Os 2.71, 4 Ta 2.97
Os 0.0000 0.5000 0.5000  4 Ta 2.71, 4 As 2.71, 4 Os 2.97
Os 0.5000 0.0000 0.5000  4 Ta 2.71, 4 As 2.71, 4 Os 2.97

BaTaIn2: optimized geometry, PBEsol.

Energy above the lowest structure with this stoichiometry, eV/atom: 0.1336
Electronic total energy, eV/atom: -4.740
Energy of formation, eV/atom: 0.43
Symmetry: Cmmm
DOS(E_F), states/eV/atom: 0.8276

a b c (Å): 5.7103 5.7103 3.1111
angles (deg): 90.00 90.00 103.93
Last column: nearest neighbours and their distance in Å.
Fractional positions:
Ba 0.0000 0.0000 0.0000  2 Ba 3.11, 8 In 3.25
Ta 0.5000 0.5000 0.0000  2 Ta 3.11, 8 In 3.25
In 0.0000 0.5000 0.5000  2 In 3.11, 4 Ta 3.25, 4 Ba 3.25
In 0.5000 0.0000 0.5000  2 In 3.11, 4 Ba 3.25, 4 Ta 3.25

LiTi2Pt2: optimized geometry, PBEsol.

Electronic total energy, eV/atom: -7.215
Energy of formation, eV/atom: -0.71
Symmetry: P4/mbm
DOS(E_F), states/eV/atom: 0.7662

a b c (Å): 7.5843 7.5843 2.8167
angles (deg): 90.00 90.00 90.00